Title: Toward an Advanced Intelligent Memory System
1Toward an Advanced Intelligent Memory System
Josep Torrellas
University of Illinois
2People Involved
Other faculty
Michael Huang
David Padua
Joe Renau
H. V. Jagadish
Seung Yoo
Daniel Reed
Jaejin Lee
3Technological Landscape
Merged Logic and DRAM (MLD)
- IBM, Mitsubishi, Samsung, Toshiba and others
- Powerful e.g. IBM SA-27E ASIC (Feb 99)
- 0.18 um (chips for 1 Gbit DRAM)
- IBM PowerPC 603 proc 16 KB I, D caches 3
- Further advances in the horizon
Opportunity How to exploit MLD best?
Processor In Memory (PIM)
Intelligent Memory or Intelligent RAM (IRAM)
5Key Applications Benefit from HW
- Data Mining (decision trees and neural networks)
- Computational Biology (protein sequence matching)
- Financial Modeling (stock options, derivatives)
- Molecular Dynamics (short-range forces)
- Decision Support Systems (TPC-D)
All these are Data Intensive Applications
6Example App DNA Matching
- Problem Find areas of database DNA chains that
match (modulo some mutations) the sample DNA
7How the Algorithm Works
- Pick 4 consecutive aminoacids from sample
- Generate 50 most-likely mutations
== Here the entry breaks off for calculated crystals ==
~~~
Entry 1:
This entry pairs a crystal structure of K11In6Bi9 with its computed X-ray diffraction stick pattern. Radiation: Cu Kα X-rays. Structure: DFT lattice parameters and positions (PBE).
Lines closer than 0.1° are merged.

Structural model:
Unit cell a=12.2531 b=13.5058 c=13.8853 alpha=91.30 beta=116.00 gamma=103.75
Positions (direct):
K1 0.0000 0.0000 0.0000
K2 0.0000 0.5000 0.0000
K3 0.1566 0.2416 0.7038
K4 0.1645 0.2183 0.2166
K5 0.1839 0.9561 0.8086
K6 0.1897 0.5217 0.5952
K7 0.2110 0.8129 0.5108
K8 0.3132 0.4827 0.9306
K9 0.3200 0.4884 0.3683
K10 0.3251 0.7504 0.2843
K11 0.3984 0.0431 0.1940
K12 0.4751 0.7779 0.0667
K13 0.5249 0.2221 0.9333
K14 0.6016 0.9569 0.8060
K15 0.6749 0.2496 0.7157
K16 0.6800 0.5116 0.6317
K17 0.6868 0.5173 0.0694
K18 0.7890 0.1871 0.4892
K19 0.8103 0.4783 0.4048
K20 0.8161 0.0439 0.1914
K21 0.8355 0.7817 0.7834
K22 0.8434 0.7584 0.2962
In1 0.0126 0.2577 0.8846
In2 0.0892 0.0539 0.4597
In3 0.0947 0.6501 0.8018
In4 0.3432 0.2931 0.5456
In5 0.4022 0.0557 0.4633
In6 0.4716 0.3452 0.1994
In7 0.5284 0.6548 0.8006
In8 0.5978 0.9443 0.5367
In9 0.6568 0.7069 0.4544
In10 0.9053 0.3499 0.1982
In11 0.9108 0.9461 0.5403
In12 0.9874 0.7423 0.1154
Bi1 0.0281 0.5776 0.2725
Bi2 0.0587 0.2731 0.4177
Bi3 0.1288 0.9535 0.2778
Bi4 0.1543 0.7840 0.0052
Bi5 0.2630 0.2108 0.9931
Bi6 0.3282 0.7581 0.7821
Bi7 0.3511 0.0976 0.6542
Bi8 0.4847 0.4284 0.7672
Bi9 0.4974 0.2756 0.4231
Bi10 0.5026 0.7244 0.5769
Bi11 0.5153 0.5716 0.2328
Bi12 0.6489 0.9024 0.3458
Bi13 0.6718 0.2419 0.2179
Bi14 0.7370 0.7892 0.0069
Bi15 0.8457 0.2160 0.9948
Bi16 0.8712 0.0465 0.7222
Bi17 0.9413 0.7269 0.5823
Bi18 0.9719 0.4224 0.7275

Peak list (12 most intense, 15° ≤ 2θ ≤ 90°, by angle)
d/Å  I/Imax
5.441  63
5.295  35
4.282  50
4.219  44
3.062  100
3.050  32
3.038  48
3.015  49
2.996  28
2.972  30
2.467  26
2.309  26



Entry 2:
This entry pairs a crystal structure of K2In2Bi3 with its computed X-ray diffraction stick pattern. Radiation: Cu Kα X-rays. Structure: DFT lattice parameters and positions (PBE).
Lines closer than 0.1° are merged.

Structural model:
Unit cell a=10.0912 b=10.0912 c=13.8450 alpha=125.12 beta=125.12 gamma=28.76
Positions (direct):
K1 0.1031 0.1031 0.4553
K2 0.2383 0.2383 0.8425
K3 0.7617 0.7617 0.1575
K4 0.8969 0.8969 0.5447
In1 0.0918 0.0918 0.1563
In2 0.4737 0.4737 0.2062
In3 0.5263 0.5263 0.7938
In4 0.9082 0.9082 0.8437
Bi1 0.1046 0.1046 0.9484
Bi2 0.3398 0.3398 0.6908
Bi3 0.4225 0.4225 0.3725
Bi4 0.5775 0.5775 0.6275
Bi5 0.6602 0.6602 0.3092
Bi6 0.8954 0.8954 0.0516

Peak list (12 most intense, 15° ≤ 2θ ≤ 90°, by angle)
d/Å  I/Imax
4.707  34
4.682  36
4.563  37
4.128  81
3.999  33
3.340  35
3.092  44
2.991  35
2.506  61
2.420  38
2.385  100
2.339  56



Entry 3:
This entry pairs a crystal structure of K2LiInBi2 with its computed X-ray diffraction stick pattern. Radiation: Cu Kα X-rays. Structure: DFT lattice parameters and positions (PBE).
Lines closer than 0.1° are merged.

Structural model:
~~~
8Example App DNA Matching
- Compare them to every positions in the database
- If match is found try to extend it
9How to Use MLD
1. Main compute engine of the machine
Incremental gains
- Include a vector processor
- or multiple processors
Hard to program
UC Berkeley IRAM Notre Dame Execube,
Petaflops MIT Raw Stanford Smart Memories
10How to Use MLD (II)
2. Co-processor, special-purpose processor
- Process data beside the disk
Stanford Imagine UC Berkeley ISTORE
11How to Use MLD (III)
3. Our approach take the place of memory
chips in a workstation or server
- PIM chip processes the memory-intensive parts
Data records, kept here for reference:
=====
For BeCrP, a cell relaxed with GGA-PBE gives the simulated powder diffractogram in this record (Cu Ka).
Intensities are scaled so that the largest is 100.

Crystal structure
Cell lengths 5.3879, 4.2871, 4.4243 Å; angles 76.39, 50.66, 52.95 degrees
Fractional positions:
Be: 0.0000 0.0000 0.0000
Be: 0.2500 0.2500 0.2500
Cr: 0.6642 0.6642 0.3358
Cr: 0.9142 0.9142 0.5858
P: 0.3167 0.3167 0.6833
P: 0.5667 0.5667 0.9333

Main lines, most intense first (2θ = 5–70°):
43.8 deg, intensity 100.0
26.8 deg, intensity 75.2
49.1 deg, intensity 70.6
33.3 deg, intensity 62.8
55.6 deg, intensity 46.2
46.7 deg, intensity 41.4
42.7 deg, intensity 20.4
49.6 deg, intensity 18.5


Record 1
Diffraction record for Zr2FeAu. The X-ray diffraction stick pattern is calculated, not measured: it uses the GGA-PBE geometry in Alexandria and Cu Kα (weighted mean of Kα1 and Kα2).
Neutral-atom scattering factors, no anomalous dispersion.

Peak list (12 most intense, 10 to 90 degrees two-theta, by angle)
(hkl)  2theta  d/Å  I/Imax
0 0 1  17.2  5.163  18
0 1 0  21.1  4.204  14
1 0 -1  27.2  3.279  13
1 1 -1  34.7  2.585  100
1 0 1  36.8  2.439  22
0 1 2  41.0  2.200  31
1 1 1  42.9  2.110  47
0 2 0  43.0  2.102  24
2 0 -1  53.0  1.729  13
1 2 1  57.9  1.593  16
1 0 3  69.2  1.358  11
1 0 -4  69.3  1.356  11

Structure:
```
data_Zr2FeAu
_cell_length_a 3.4576
_cell_length_b 4.2045
_cell_length_c 5.4422
_cell_angle_alpha 90.00
_cell_angle_beta 108.42
_cell_angle_gamma 90.00
_space_group_name_H-M_alt 'P 1 m 1'
_space_group_IT_number 6
loop_
_space_group_symop_operation_xyz
'x,y,z'
'x,-y,z'
loop_
_atom_site_label
_atom_site_fract_x
_atom_site_fract_y
_atom_site_fract_z
_atom_site_occupancy
Zr1 0.0000 0.0000 0.0000 1
Zr2 0.2995 0.5000 0.6017 1
Fe1 0.7530 0.0000 0.5091 1
Au1 0.5782 0.5000 0.1572 1
```

---

Record 2
Diffraction record for Zr3FeAu. The X-ray diffraction stick pattern is calculated, not measured: it uses the GGA-PBE geometry in Alexandria and Cu Kα (weighted mean of Kα1 and Kα2).
Neutral-atom scattering factors, no anomalous dispersion.

Peak list (12 most intense, 10 to 90 degrees two-theta, by angle)
(hkl)  2theta  d/Å  I/Imax
2 0 0  22.7  3.923  58
2 0 1  30.6  2.919  59
0 2 1  33.1  2.709  25
3 1 -2  33.6  2.664  53
1 1 2  34.8  2.576  45
3 1 0  37.7  2.384  28
2 2 -2  38.6  2.333  100
0 2 2  39.1  2.302  79
2 0 -4  40.8  2.210  43
4 0 0  46.3  1.962  31
2 2 -5  61.9  1.498  29
4 2 2  72.5  1.304  23

Structure:
```
data_Zr3FeAu
_cell_length_a 9.1758
_cell_length_b 5.8035
_cell_length_c 8.8433
_cell_angle_alpha 90.00
_cell_angle_beta 121.18
_cell_angle_gamma 90.00
_space_group_name_H-M_alt 'C 1 2/m 1'
_space_group_IT_number 12
loop_
_space_group_symop_operation_xyz
'x,y,z'
'-x,-y,-z'
'-x,y,-z'
'x,-y,z'
'x+1/2,y+1/2,z'
'-x+1/2,-y+1/2,-z'
'-x+1/2,y+1/2,-z'
'x+1/2,-y+1/2,z'
loop_
_atom_site_label
_atom_site_fract_x
_atom_site_fract_y
_atom_site_fract_z
_atom_site_occupancy
Zr1 0.0534 0.0000 0.2601 1
Zr2 0.1940 0.5000 0.8878 1
Zr3 0.2064 0.5000 0.2604 1
=====
- of the program
Illinois FlexRAM UC Davis Active Pages USC-ISI
12Our Solution Principles
- Extract high bandwidth from DRAM
- Many simple processing units
- Run legacy codes with high performance
- Do not replace off-the-shelf uP in workstation
- Take place of memory chip. Same interface as DRAM
- Intelligent memory defaults to plain DRAM
- Small increase in cost over DRAM
- Simple processing units, still dense
- General purpose
- Do not hardwire any algorithm. No Special purpose
13Architecture Proposed
14The FlexRAM Memory System
Can exploit multiple levels of parallelism
For a high-end workstation
- 1 P.Host processor (e.g. Merced, IBM GP)
- 100s of P.Mems in memory (e.g. IBM PowerPC 603)
- 100,000s of very simple P.Arrays in memory
15Chip Organization
16Memory in one FlexRAM Chip
- 64 Mbytes of DRAM organized as 16Mx32 bits
- Organized in 64 1-Mbyte banks
- 2 2-Kbyte row buffers (no P.Array cache)
- P.Array access to memory 10 ns (row hit) or 20
ns (miss)
- On-chip memory bandwidth 102 Gbytes/second
17Memory in one FlexRAM Chip
Group of 4 P.Arrays share one 8-Kbyte,
4-ported SRAM instruction memory
- Aggressive access time 1 cycle 2.5 ns
- 64 P.Arrays per chip. Not SIMD but SPMD
- 32-bit integer arithmetic 16 registers
- No caches, no floating point
- 4 P.Arrays share one multiplier
- 28 different 16-bit instructions
- Can access own 1 Mbyte of DRAM plus DRAM of
- left and right neighbors. Connection forms a
- Broadcast and notify primitives Barrier
- 2-issue static superscalar like IBM PowerPC 603
- Communication with P.Arrays
- Broadcast/notify or plain write/read to memory
- Communication with other P.Mems
- Memory in all chips is visible
- Access via the inter-chip network
- Must flush caches to ensure data coherence
Communication P.Mem-P.Host
- P.Mem cannot be the master of bus
- P.Host starts P.Mems by writing register in
Rambus interf.
- P.Host polls a register in Rambus interf. of
master P.Mem
- If P.Mem not finished memory controller retries.
Retries - are invisible to P.Host
Virtual memory
- P.Mems and P.Arrays use virtual memory
- They share a range of virtual addresses with
21Chip Architecture
22Basic Block
23Area Estimation (mm )
PowerPC 603caches 12
64 Mbytes of DRAM 330
SRAM instruction memory 34
Rambus interface
Pads network interf. refresh logic 20
Total 505
Of which 28 logic, 65 DRAM, 7 SRAM
29Programming FlexRAM
- FlexRAM programmed in C extensions C-Flex
- Library of Intelligent Memory Operations (IMOs)
C subroutines that can be called from main pgm
Executed by P.Arrays or P.Mem
Operate on large data sets with poor locality
- Library also contains plain subroutines
- Link program with IMOs or plain subroutines
30C-Flex Programming Extensions
- On processor_range where the following code is
- Waitfor processor_range processors waiting for
- Map object to processor_range mapping of pages
- Flush(object), FlushInval(object) flush from
- Broadcast(address), Poll(), Receive(address),
== Crystal structures, kept here for reference ==
********
Entry 1:
Starting from a structure optimized by DFT (GGA-PBE), the powder diffraction line list of La4Tb3Sm4 was computed for Cu Kα.

Main lines, low angle first (2θ from 10° to 90°):
- 2θ = 30.02°, intensity 36
- 2θ = 30.55°, intensity 18
- 2θ = 30.80°, intensity 40
- 2θ = 31.58°, intensity 100
- 2θ = 33.02°, intensity 14
- 2θ = 43.94°, intensity 13
- 2θ = 51.76°, intensity 12
- 2θ = 55.27°, intensity 29
- 2θ = 61.34°, intensity 15
- 2θ = 61.46°, intensity 14

Structure:
```
La4Tb3Sm4
1.0
10.851 0.000 0.000
0.000 2.903 6.077
0.000 -2.903 6.077
La Tb Sm
4 3 4
direct
0.000 0.000 0.000
0.202 0.804 0.804
0.500 0.927 0.927
0.798 0.804 0.804
0.000 0.295 0.295
0.290 0.454 0.454
0.710 0.454 0.454
0.000 0.590 0.590
0.304 0.149 0.149
0.500 0.651 0.651
0.696 0.149 0.149
```

---

Entry 2:
Starting from a structure optimized by DFT (GGA-PBE), the powder diffraction line list of Sm2ZnAu was computed for Cu Kα.

Main lines, low angle first (2θ from 10° to 90°):
- 2θ = 19.21°, intensity 5
- 2θ = 34.64°, intensity 100
- 2θ = 34.75°, intensity 20
- 2θ = 49.71°, intensity 7
- 2θ = 49.89°, intensity 14
- 2θ = 62.07°, intensity 29
- 2θ = 62.23°, intensity 15
- 2θ = 73.09°, intensity 11
- 2θ = 83.33°, intensity 7
- 2θ = 83.59°, intensity 9

Structure:
```
Sm2ZnAu
1.0
5.163 0.000 0.000
0.000 3.668 0.000
0.000 0.000 10.356
Sm Zn Au
4 2 2
direct
0.250 0.000 0.124
0.250 0.000 0.625
0.750 0.000 0.375
0.750 0.000 0.876
0.250 0.500 0.383
0.750 0.500 0.617
0.250 0.500 0.868
0.750 0.500 0.132
```

---

Entry 3:
Starting from a structure optimized by DFT (GGA-PBE), the powder diffraction line list of B7C5 was computed for Cu Kα.

Main lines, low angle first (2θ from 10° to 90°):
- 2θ = 11.46°, intensity 100
- 2θ = 17.22°, intensity 40
- 2θ = 23.03°, intensity 29
- 2θ = 40.89°, intensity 16
- 2θ = 41.23°, intensity 96
- 2θ = 43.35°, intensity 15
- 2θ = 47.06°, intensity 8
- 2θ = 68.37°, intensity 16
- 2θ = 71.58°, intensity 28
- 2θ = 74.10°, intensity 8

Structure:
```
B7C5
1.0
2.637 0.000 0.000
-1.318 2.283 0.000
0.000 0.000 15.449
B C
7 5
direct
0.000 0.000 0.000
0.000 0.000 0.108
0.000 0.000 0.453
0.333 0.667 0.175
0.333 0.667 0.572
0.333 0.667 0.822
0.667 0.333 0.933
0.000 0.000 0.561
0.333 0.667 0.277
0.667 0.333 0.313
0.667 0.333 0.410
0.667 0.333 0.831
```

---

Entry 4:
Starting from a structure optimized by DFT (GGA-PBE), the powder diffraction line list of DyPu3Tc3 was computed for Cu Kα.

Main lines, low angle first (2θ from 10° to 90°):
- 2θ = 17.68°, intensity 24
- 2θ = 25.10°, intensity 42
- 2θ = 28.12°, intensity 35
- 2θ = 30.87°, intensity 100
- 2θ = 44.22°, intensity 37
- 2θ = 47.98°, intensity 60
- 2θ = 51.52°, intensity 34
- 2θ = 73.04°, intensity 17
- 2θ = 75.85°, intensity 22
- 2θ = 84.10°, intensity 18

Structure:
```
DyPu3Tc3
1.0
7.095 0.000 0.000
0.000 7.095 0.000
0.000 0.000 7.095
Dy Pu Tc
2 6 6
direct
0.000 0.000 0.000
0.500 0.500 0.500
0.000 0.250 0.500
0.000 0.750 0.500
0.250 0.500 0.000
0.500 0.000 0.250
0.500 0.000 0.750
0.750 0.500 0.000
********
- FlexRAM_malloc(), P_mem_malloc(), P_array_malloc()
31Performance Evaluation
- Hardware performance monitoring embedded in the
chip - Software tools to extract and interpret
performance info
32Current Status
- Identified and wrote all applications
- Designed architecture based on apps feasible
technology - Conceived ideas behind language/compiler
- Need to do chip layout and fabrication
development of the compiler - Funds needed for
- processor core (P.Mem)
- chip fabrication
- hardware and software engineers
33Overall Goal
- Build a workstation with an intelligent memory
- Build a compiler for the intelligent memory system
- Demonstrate significant speedups on real
- We have a handle on
- A promising technology (MLD)
- Key applications of industrial interest
- Real chance to transform the computing landscape